Diversity, Equity & Inclusion in CLA

CLA students in stadium

Diversity, Equity & Inclusion in CLA

The core values of the College of Liberal Arts include freedom of thought and expression; respect, diversity, and social justice; excellence in all we do; and efficiency and adaptability in the achievement of our mission.

On This Page:

CLA is a destination for curious, compassionate individuals who are committed to making our increasingly interdependent and diverse global community work for everyone. That foundational commitment begins in our CLA Constitution. CLA is committed to increasing enrollment of underrepresented and under-resourced students, diversifying our faculty across all disciplines, recruiting and retaining a diverse staff, and promoting the expression and exploration of diverse perspectives and viewpoints—so that we all gain the background knowledge and analytical skills we need to understand and respect differences.

Diversity, Equity, and Inclusion is a cornerstone of the Roadmap, CLA's strategic plan.


CLA's Office for Diversity, Equity, and Inclusion

The Office for Diversity, Equity, and Inclusion (ODEI) is charged with providing leadership, coordination, and accountability within and across the College of Liberal Arts at the University of Minnesota and its units regarding diversity, equity, and inclusion. The office provides leadership and support on matters of racial equity and justice including internal culture and climate; recruitment and retention of faculty, staff, and students; action steps to reduce student equity gaps; and the application of a rigorous equity lens on our policies, procedures, and practices.   

The Liberal Arts Engagement Hub and coordination of CLA’s efforts to advance public engagement have been strategically embedded within ODEI in order to take advantage of significant synergies related to public engagement, the Liberal Arts Engagement Hub and issues of diversity, equity and inclusion. 

Learn more about ODEI on the Neighborhood, CLA's Intranet

Interim Director of Diversity, Equity, and Inclusion

Amelious N. Whyte, Jr. (uh-MEEL-yus WYT) He/Him/His

The Office for Diversity, Equity, and Inclusion is always open to hearing suggestions. Contact us at [email protected] or anonymously submit a suggestion via this form.

Woman in a red coat talking and gesturing to several people seated

Working in CLA

At the University of Minnesota, we value having a diversity of views and experiences that enrich our campus community and foster excellence. We are dedicated to creating a campus culture that respects everyone equally. Learn more about working at the University of Minnesota

Fall 2021

Faculty of Color
Staff of Color
Female Faculty

Indigenous Staff & Staff of Color Community

CLA's Indigenous Staff & Staff of Color Community promotes personal and professional growth through shared experiences, resources, and strategies for staff of color. It launched in December 2017 to help advance the College’s goal of cultivating a welcoming and respectful climate in its diverse intellectual community. It is an active organization that includes members from throughout the College. To learn more about this community, view their On Purpose profile or visit The Neighborhood (CLA's intranet).

Student in a classroom talking to fellow students with laptops

Studying in CLA

Fall 2021 Student Population


CLA students are 42.0% of the total UMN-Twin Cities (TC) undergraduate degree-seeking population. Overwhelmingly, CLA students are an even larger percentage of the TC student population among numerous groups that enhance the University’s diversity. CLA students comprise:

  • 39.3% of all TC students who identify as Asian
  • 45.8% of all TC multi-racial students
  • 46.6% of all TC female students
  • 46.8% of all TC international students
  • 46.8% of all TC BIPOC students
  • 48.2% of all TC first-generation students
  • 49.7% of all TC Chicano/a & Latino/a students
  • 51.1% of all TC Pell-eligible students
  • 57.0% of all TC Black students
  • 63.2% of all TC American Indian students


At the doctoral level, CLA students are 19.3% of the total Twin Cities doctoral population. CLA doctoral students comprise:

  • 19.9% of Twin Cities female doctoral students
  • 20.2% of Black students
  • 20.4% of BIPOC students
  • 20.5% of multi-racial students
  • 28.0% of Chicano/a & Latino/a students
  • 29.0% of American Indian students


Undergraduate Students

The CLA Undergraduate Education staff actively promotes diversity, equity, inclusion, and social justice.


Graduate Students

Public Art on campus - metal sculpture that resembles a partial globe with a section of colorful woven metal

Diversity Initiatives

An overview of the different diversity programs, initiatives, and fellowships available for graduate students.

Diversity Initiatives

President's Postdoctoral Fellowship Program

The President's Postdoctoral Fellowship Program is a University of Minnesota program that seeks applicants whose research, teaching, and service will contribute to diversity, inclusion, and equal opportunity in higher education and at the University. 

Dancers in costume and other community members for a Dia De Los Muertos event

Academic Expertise, Outreach, and Engagement in CLA

Race, Indigeneity, Disability, Gender & Sexuality Studies

Established in 2015, the Center for Race, Indigeneity, Disability, Gender & Sexuality Studies (RIDGS) in the College of Liberal Arts was created to support innovative research, teaching, and community-building for scholars engaged with issues of race, indigeneity, disability, gender, and sexuality. RIDGS is dedicated to bringing faculty and students together to pursue lines of inquiry that challenge systems of power and inequality, assert human dignity, and imagine social transformation. Learn more about the Race, Indigeneity, Disability, Gender & Sexuality Initiative.

In August 2020, RIDGS launched a collection of online resources about racial justice at the University of Minnesota.

CLA is also a supporter and donor to the CLA-faculty-led Black Midwest Initiative, a "collective of scholars, students, artists, organizers, and community-involved people who are committed to advocating for the lives of people of African descent as they are situated throughout the Midwest and Rust Belt regions of the United States."

_Inserted here: records of crystals_
-- begin --
Density functional theory data (PBE) for crystalline Ba2AuSe at its relaxed geometry.

```
Ba2AuSe
1.0
-1.872 4.122 -1.279
-7.336 -4.552 -3.931
-3.301 0.304 5.810
Au Ba Se
2 4 2
Cartesian
-4.582 0.403 -0.646
-7.038 -2.587 1.965
-1.724 -0.496 0.924
-5.503 -2.815 -1.015
-9.809 -1.695 0.243
-6.105 0.630 2.314
-8.227 -1.889 -2.697
-3.308 -0.302 3.867
```

**Calculated density**: 6.12 g cm⁻³
**Final energy**: -31.62 eV/cell

=====

Density functional theory data (PBE) for crystalline Gd2Sn2PdPt3 at its relaxed geometry.

```
Gd2Sn2PdPt3
1.0
4.588 0.000 0.000
-2.294 3.973 0.000
0.000 0.000 9.122
Gd Pd Pt Sn
2 1 3 2
Cartesian
2.294 1.324 2.307
0.000 0.000 6.836
0.000 0.000 0.797
0.000 0.000 3.730
2.294 1.324 5.382
2.294 1.324 8.344
0.000 2.649 4.554
0.000 2.649 9.096
```

**Calculated density**: 12.42 g cm⁻³
**Size of the total moment**: 0.000 μB per atom
**Final energy**: -48.48 eV/cell

~~~~~

Entry from the Alexandria database: a relaxed K3BBr6 crystal (PBE-GGA).

Unit cell a=8.420 b=10.518 c=10.518 alpha=99.96 beta=90.00 gamma=90.00
Fractional coordinates of all 20 atoms:
1 K 0.906 0.122 0.344
2 Br 0.611 0.306 0.363
3 Br 0.687 0.858 0.387
4 K 0.339 0.441 0.559
5 B 0.618 0.802 0.198
6 Br 0.611 0.637 0.694
7 Br 0.187 0.142 0.613
8 Br 0.111 0.363 0.306
9 Br 0.383 0.819 0.181
10 K 0.906 0.656 0.878
11 Br 0.187 0.387 0.858
12 B 0.118 0.198 0.802
13 Br 0.687 0.613 0.142
14 Br 0.883 0.181 0.819
15 K 0.406 0.344 0.122
16 K 0.839 0.559 0.441
17 Br 0.111 0.694 0.637
18 K 0.406 0.878 0.656
19 Br 0.737 0.913 0.087
20 Br 0.237 0.087 0.913

The total moment comes out at 0.00 μB/cell. The space-group type is Cmc2_1. The value obtained for the density of states at the Fermi level is 0.00 states/eV/cell. The formation energy without anion corrections comes out at -1.202 eV per atom.

~~~~~

This record from Alexandria via LeMat-Bulk describes a geometry-optimized KZnTc structure. The functional is PBE-GGA.

Unit cell a=8.3304 b=8.1945 c=2.7459 alpha=83.24 beta=77.65 gamma=19.11
Fractional coordinates of all 3 atoms:
Zn: 0.6864 0.6864 0.3136
K: 0.9964 0.9964 0.0036
Tc: 0.3172 0.3172 0.6828

Summary:
Relative energy among the computed polymorphs (meV per atom): 89
Space-group type: Fmm2
Crystal system: orthorhombic
DOS(E_F) (states/eV/cell): 1.47
Total magnetic moment (μB/atom): 0.000
E_form (eV per formula unit): 2.40

~~~~~

TlVPO4 after structural relaxation, computed with PBE with a Hubbard U.

Cell: 5.5128 5.5890 7.5479 Å, 90.00 107.56 90.00°
Closest atoms and distances in Å follow each position.
Positions (direct):
O  0.9363  0.0276  0.6729  1 P 1.56
O  0.9363  0.4724  0.6729  1 P 1.56
O  0.4343  0.7500  0.5554  1 P 1.56
O  0.5657  0.2500  0.4446  1 P 1.56
O  0.0637  0.9724  0.3271  1 P 1.56
O  0.0637  0.5276  0.3271  1 P 1.56
O  0.5895  0.2500  0.7793  1 P 1.56
O  0.4105  0.7500  0.2207  1 P 1.56
Tl  0.6937  0.7500  0.9185  3 O 2.68-2.98
Tl  0.3063  0.2500  0.0815  3 O 2.68-2.98
P  0.2435  0.7500  0.3548  4 O 1.56
P  0.7565  0.2500  0.6452  4 O 1.56
-- stop --

Faculty Expertise Around Issues of Race, Justice, Dignity, and Respect

Our faculty, across a wide range of departments, are bringing their insights and expertise to benefit and teach local, national, and international communities. This depth of understanding leads to their being called upon by the media for insights and clarity—especially during times of tragedy. 

Departmental Statements of Diversity, Equity & Inclusion

In addition to our college-wide commitment to diversity, equity, and inclusion, several departments have shared their commitments on their websites. Read about them in the links below.


The University of Minnesota shall provide equal access to and opportunity in its programs, facilities, and employment without regard to race, color, creed, religion, national origin, gender, age, marital status, disability, public assistance status, veteran status, sexual orientation, gender identity, or gender expression.